Listing.
Below is BeSb2As after structural relaxation, with properties calculated at the GGA-PBE level.

The value obtained for the magnetic moment is 0.00 μB/cell. For the uncorrected formation energy, the calculation gives 0.3058 eV per atom. The total energy is -3.85 eV per atom.

Lattice parameters (Å, degrees): 6.199 6.199 6.199 147.43 136.43 55.44
Sites, in units of the cell vectors:
Sb  0.066  0.066  0.000
Sb  0.750  0.250  0.500
As  0.412  0.412  0.000
Be  0.272  0.772  0.500
Activity.
Work out how many lines above have the word "at" in them; a number is enough.
Completed.
1